*Warning. This fanfiction contains dark themes, including hints of alcoholism, suicide, depression, and major character death. Basically just straight up angst. Only read if you're looking for a bad time.
Takes place after the Neutral route which is closest to the No Mercy run.
Betaed by the lovely FlightlessTree.
Sans waited for the phone to pick up, but instead it sent him straight to voicemail.
He stared down at the phone in his hand, eyes pitch black, half tempted to hang up, but he didn't. He needed at least some sort of closure.
"heya," Sans said candidly, tapping his fingers on his desk. "is anyone there?" of course not. "well, i'll just leave a message…"
Sans sighed, giving a half-hearted chuckle. "it's been a while, huh?" He trailed off, closing his eyes, remembering the human.
Their dirty pink and blue sweater, the tousled hair, the scared and hunted look that haunted their every step. He wondered what they were doing right now.
"...things have gotten pretty bad here," The skeleton continued softly. "everyone considered a leader disappeared overnight." He stood, walking over to the window to stare outside. It was silent except for a bird somewhere, chirping softly. That was right- it had been a day just like today the kid had left the Underground, hadn't it? "it's gotten so quiet."
Sans reached up, grasping the red scarf hung loosely around his neck. "there's a bad feeling hanging over everyone. like everyone's going to die here, trapped in the dark…"
A wry grin made its way onto Sans' face, and he leaned his forehead against the glass as his reflection gazed back at him. The different clothing didn't suit him, he thought, studying his changed appearance. The kid probably would've found this hilarious… all the more reason not to tell the truth. He didn't want them having any joy at his expense ever again.
"i bet you're wondering why i'm not ruler," he continued. "eh." you don't need to know. "i'm not cut out for something like that. i like to take it easy, y'know?"
The lie slipped out, easy to say because it felt true. Even now, he himself could barely believe what had happened since the kid had left. Sans' face slowly darkened, and his grin grew. "...that's a joke." He studied his reflection one more time. Then he sighed, slipping back into his chair. "this is what happens when people like me take it easy."
Papyrus, gone.
Undyne, gone.
Alphys, gone.
Asgore, gone.
Someone Sans once joked with, gone.
All Sans' fault. All Sans' responsibility now.
"hey, at least things are less crowded now. 'cause, y'know, of all the people you killed." Sans examined the phone. Welp, almost out of time. "hope that was a good experience for you."
It the human's decision to gain LOVE; it was the human's decision to hurt others instead of risking the chance of getting hurt themself.
"...just kidding." Sans' eyes dimmed, and he growled the last bit out. "i don't really hope that."
The human had chosen to do it all, and yet Sans had chosen not to stop it. At the end, at least, he should had taken revenge. But that mistake was done and over with; now Sans had to keep moving forward.
"go to hell." Sans hung up with a click and rubbed his face with one skeletal hand before he got up. He adjusted his crown. He had work to do.
At this point, there was no turning back. Sans would keep walking the path that had been given to him. He could still remember with unusual clarity how all of this started, so soon after the human had left the Underground...
-One year prior-
The entry is interrupted by data records:
<<<
No. 1
This record from Alexandria via LeMat-Bulk describes a relaxed Mg2SiSe crystal. The functional is PBE.

```
Mg2SiSe
1.0
1.811 1.046 7.319
-1.811 1.046 7.319
0.000 -2.091 7.319
Mg Si Se
2 1 1
Cartesian
0.000 0.000 5.316
0.000 0.000 16.641
0.000 0.000 0.000
0.000 0.000 10.978
```

Values from the calculation:
Total moment (μB per formula unit): 0.0
Energy above the most stable polymorph in this dataset (meV/atom): 0
DFT total energy (eV/atom): -3.429



No. 2
This record from Alexandria via LeMat-Bulk describes a relaxed MgTaSiSe2 crystal. The functional is PBE.

```
MgTaSiSe2
1.0
4.931 0.000 0.000
0.000 4.931 0.000
0.000 0.000 4.760
Mg Ta Si Se
1 1 1 2
Cartesian
0.000 0.000 0.000
2.465 2.465 0.000
0.000 0.000 2.380
0.000 2.465 2.380
2.465 0.000 2.380
```

Values from the calculation:
Total moment (μB per formula unit): 2.7
DFT total energy (eV/atom): -4.195



No. 3
This record from Alexandria via LeMat-Bulk describes a relaxed MgTi2SiSe crystal. The functional is PBE.

```
MgTi2SiSe
1.0
4.732 0.000 0.000
0.000 4.732 0.000
0.000 0.000 4.996
Mg Ti Si Se
1 2 1 1
Cartesian
0.000 0.000 0.000
0.000 2.366 2.498
2.366 0.000 2.498
2.366 2.366 2.498
2.366 2.366 0.000
```

Values from the calculation:
Total moment (μB per formula unit): 0.0
DFT total energy (eV/atom): -4.860



No. 4
This record from Alexandria via LeMat-Bulk describes a relaxed MgTl2SiSe4 crystal. The functional is PBE.

```
MgTl2SiSe4
1.0
5.293 -4.231 0.000
5.293 4.231 0.000
-5.292 0.000 5.296
Mg Tl Si Se
1 2 1 4
Cartesian
0.000 0.000 0.000
5.293 -0.008 0.000
2.648 -2.120 2.648
2.648 2.113 2.648
2.311 0.921 0.705
-0.706 -0.926 2.312
2.984 0.921 4.591
6.001 -0.926 2.984
```

Values from the calculation:
Total moment (μB per formula unit): 0.0
DFT total energy (eV/atom): -3.839

----------

VASP calculation (GGA-PBE) on a relaxed structure of LiLaRu.

Summary:
E_form = 0.16 eV per formula unit
DOS at the Fermi energy = 0.567 states/eV per atom
magnetization = 0.0 μB per formula unit
volume = 19.89 Å³/atom

Cell lengths 3.738, 3.738, 8.542 Å; angles 90.00, 90.00, 90.00 degrees
Space group I4mm (No. 107)
One atom of each set of equivalent atoms:
Li 0.000 0.000 0.000 x2
La 0.000 0.000 0.320 x2
Ru 0.000 0.000 0.614 x2

VASP calculation (GGA-PBE) on a relaxed structure of LiLaRu4.

Summary:
E_form = 1.08 eV per formula unit
DOS at the Fermi energy = 1.245 states/eV per atom
magnetization = 2.7 μB per formula unit
volume = 17.82 Å³/atom

Cell lengths 7.535, 7.535, 7.535 Å; angles 90.00, 90.00, 90.00 degrees
Space group F-43m (No. 216)
One atom of each set of equivalent atoms:
Li 0.000 0.000 0.000 x4
La 0.250 0.250 0.250 x4
Ru 0.126 0.126 0.626 x16

VASP calculation (GGA-PBE) on a relaxed structure of Li3LaRu.

Summary:
E_form = 2.25 eV per formula unit
DOS at the Fermi energy = 0.543 states/eV per atom
magnetization = 0.0 μB per formula unit
volume = 20.79 Å³/atom

Cell lengths 4.702, 4.702, 4.702 Å; angles 90.00, 90.00, 90.00 degrees
Space group Pm-3m (No. 221)
>>>
"i like to take it easy, you know? you're looking at the wrong guy for this," Sans pleaded, backing away. The monsters stared back at him, pressing close to him, encircling him, trapping him. Sans felt like he was drowning in the expectations he saw reflected back in their eyes. "find somebody else, okay? i- i can't be king, okay? that's… that's a really bad idea. i can't…"
"Please, Sans!" One of the dog sentries begged. Dogamy, Sans recalled dimly. "There's no one left. We know you had something to do with Asgore while he was alive. You can't just abandon us! Even… even Dogaressa… she's dead, Sans… Undyne, too. No one is left," Dogamy repeated, voice breaking. "No one left but you."
There was no accusation in Dogamy's voice, but Sans sure felt like there was. Why was Sans still alive when so few others were? Sans backed up some more, shaking his head, and bumping into a wall. His eyes widened; he was being surrounded by more and more monsters. The voices rose and Sans' own words were drowned out by the wishes of others. His hand reached up and curled around the red scarf that hung from his neck. A medallion of his failures, a memento of what once was.
Indeed, Sans was the only one left. There really wasn't anyone else left.
pap…what would you do if you were here right now…? what would you want me to do? Somehow, Sans knew the answer, but that didn't make it any easier. This whole mess had happened because Sans had taken it easy. He had looked down at the kid, hissed at them to go to hell, but still refused to lift a single finger to stop them. He let them merely walk out of his life without even obtaining the last soul needed as their payment for their cruel deeds… Sans supposed the time for such complacent acts was over.
Sans took a deep breath and lifted his head. His mouth moved, and all of a sudden the monsters went silent, so silent that all that could be heard was Sans' rasping voice.
These materials data were left in the article by mistake:
=====
(1)
Below is a relaxed structure of Nd2Dy2Sc, with properties calculated at the PBE-GGA level.

Unit cell a=4.867 b=7.720 c=8.465 alpha=90.00 beta=90.00 gamma=90.00
Space group Immm (No. 71)
Symmetry-distinct sites (fractional):
1 Nd 0.000 0.208 0.000 [4 per cell]
2 Dy 0.000 0.500 0.291 [4 per cell]
3 Sc 0.000 0.000 0.500 [2 per cell]

* relative energy among the computed polymorphs: 89.3 meV per atom

***

(2)
Below is a relaxed structure of LiOs2Au, with properties calculated at the PBE-GGA level.

Unit cell a=2.745 b=4.515 c=4.833 alpha=90.00 beta=90.00 gamma=90.00
Space group Pmmm (No. 47)
Symmetry-distinct sites (fractional):
1 Li 0.000 0.000 0.000 [1 per cell]
2 Os 0.000 0.500 0.500 [1 per cell]
3 Os 0.500 0.000 0.500 [1 per cell]
4 Au 0.500 0.500 0.000 [1 per cell]

* relative energy among the computed polymorphs: 205.6 meV per atom

***

(3)
Below is a relaxed structure of Tb6Pm5Dy2, with properties calculated at the PBE-GGA level.

Unit cell a=11.689 b=20.569 c=3.604 alpha=90.00 beta=90.00 gamma=90.00
Space group Pbam (No. 55)
Symmetry-distinct sites (fractional):
1 Tb 0.061 0.081 0.000 [4 per cell]
2 Tb 0.082 0.368 0.000 [4 per cell]
3 Tb 0.174 0.638 0.500 [4 per cell]
4 Pm 0.000 0.500 0.500 [2 per cell]
5 Pm 0.086 0.227 0.500 [4 per cell]
6 Pm 0.198 0.949 0.500 [4 per cell]
7 Dy 0.170 0.789 0.000 [4 per cell]
=====
The voice of the new king.
Moments before his words had quivered, but now they sounded firm. Confident. Something Sans didn't feel at all.
"all right. if you want me that bad… i'll do it."
As cheers rang around him, Sans' grip tightened on the red scarf. He glanced back at his and Papyrus' old house one final time before he moved, starting to walk down the long path to the New Home. Monsters followed him, calling out the news to those crying and broken along the way. The crowd grew, and the short skeleton had to suppress the hysteria creeping through his very soul.
Sans closed his eyes for a second, letting out the breath that he had held for so long.
In the end, his own judgment had caused all of this. He knew what the human was, what the human could do, had done, and yet…
Welp. What was done was done. Sans made his bed; now he had to lie in it. He could only look forward, pushing off the clawing emptiness that screamed at him in the form of a ragged red scarf.
And even with a new king, things were bleak.
What had the Underground been expecting? Maybe someone else could have pulled the Underground out of the depression and hopelessness that had plunged over the kingdom in a single day, someone braver and more cheerful than Sans, but in the end Sans was only a reflection of the people he now governed.
The paperwork- much more of it than what Asgore used to deal with- lay in perpetual mounds around Sans' new desk. Trash littered his new abode, and Sans was only reminded that no one was there to pick up after him anymore. His fridge was constantly empty, and Sans didn't have it in him to cook anymore.
He had tried to make a quiche once, but his reason for that attempt was silent. She was probably gone, just like the rest.
Sans wondered what her name was. She must have loved the human; Sans could remember his promise to her quite clearly in stark contrast to the rest of his muddled memories. Sans bleakly wondered what she had thought when she turned to dust at the hands of the same one she had tried to protect?
Sans wished he never agreed to that promise.
He examined the vacant fridge for a moment longer, remembering when he had opened it once upon a time to find spaghetti attempts overflowing onto his side.
He slammed the door shut, and rubbed his face.
For once in his life, Sans wished the tears would just come and get this over with, but he was simply too tired. The tears would no longer come.
Sans rubbed his head with a sigh. "so? what was so important in here you just had to show me?" He asked as the elevator descended.
The monster uneasily shifted, fumbling with their keys. "That's, erm," they trailed off, and then frowned. "We found some signs of- of life in the basement down here while sorting everything. We thought you should, ah..."
"is it alphys?" Sans asked quickly, suddenly alert. She'd been missing ever since what the citizens of the Underground were now calling the Second Fall.
"We don't know."
Sans studied the monster- they looked nervous. The elevator doors slid open. "wait here," he murmured, not missing the relieved look the monster shot him as he hurried down the corridors.
There were no signs of life in the first room. Sans squinted as he looked around the dusty laboratory. Messages stuttered to life as Sans walked by but he ignored them, focused on his mission alone.
Hesitantly, Sans headed for the largest room- he could dimly recall the layout from the time he worked here long ago- and paused. His white pupils examined the dark entranceway for a long moment before he took a deep breath and entered the room.
This room was filled with beds from wall to wall. However, what really caught Sans' attention was the two monsters crowding around one bed in particular.
Sans didn't know who or what these monsters were- they all looked misshapen, strange, and starved. One appeared to be a giant white dog, the other some strange type of bird. Judging from their gaunt appearances, Sans suspected the many piles of dust in the room didn't just come from a lack of regular cleaning.
Sans approached them, slippers silently sliding over the ground.
He didn't understand what these monsters were. He didn't understand what Alphys had been thinking in the last moments of her life.
But Sans understood quite perfectly what the pile of dust on the bed, a pink phone lying next to it with its battery still barely alive, represented.
Sans sank to his knees, a soft sigh rattling past his teeth. Again. It happened again.
He was too late.